Return the whole of the rows underneath verbatim, please.

____________
# GdScS3, relaxed, DFT meta-GGA r2SCAN
# M_tot in μB/f.u.: 7.0
# Formation energy in kJ/mol of atoms: -218
# Calculated volume in Å³/f.u.: 108.0
data_GdScS3
_cell_length_a 7.0636
_cell_length_b 9.5337
_cell_length_c 6.4137
_cell_angle_alpha 90.00
_cell_angle_beta 90.00
_cell_angle_gamma 90.00
_symmetry_space_group_name_H-M 'P n m a'
_symmetry_Int_Tables_number 62
loop_
_symmetry_equiv_pos_as_xyz
'x,y,z'
'-x,-y,-z'
'-x+1/2,-y,z+1/2'
'x+1/2,y,-z+1/2'
'x+1/2,-y+1/2,-z+1/2'
'-x+1/2,y+1/2,z+1/2'
'-x,y+1/2,-z'
'x,-y+1/2,z'
loop_
_atom_site_label
_atom_site_fract_x
_atom_site_fract_y
_atom_site_fract_z
_atom_site_occupancy
Gd1 0.1006 0.2500 0.0397 1
Sc1 0.0000 0.0000 0.5000 1
S1 0.0452 0.7500 0.3600 1
S2 0.1847 0.5683 0.8240 1


Entry 1:
! Mg45Si32H58O138 (PBE-GGA, optimized geometry); values from VASP
! Energy relative to the elements: -2.623 eV/atom
! Space group: No. 12
! Total magnetic moment: 0.00 μB/f.u.
! Raw total energy: -1746.4 eV/cell
&SYSTEM
  ibrav = 0, nat = 273, ntyp = 4
/
ATOMIC_SPECIES
O 16.00 O.upf
H 1.01 H.upf
Mg 24.30 Mg.upf
Si 28.09 Si.upf
CELL_PARAMETERS angstrom
-3.225 6.491 -1.377
-1.228 1.334 9.164
37.697 17.164 -2.207
ATOMIC_POSITIONS angstrom
O 24.617 16.343 0.921
O 11.709 9.082 0.248
O 11.568 11.553 1.471
O 29.264 21.786 3.230
O 18.091 15.617 -2.134
O 21.676 13.435 4.109
O 10.381 7.404 7.360
O 14.004 12.736 3.194
O 20.515 16.511 -2.142
O 15.016 7.992 0.849
O 18.828 15.169 6.636
O 1.240 1.109 0.005
O 31.963 19.932 -0.206
O 19.607 14.244 0.555
O 5.675 5.118 7.082
O 29.453 18.766 1.216
O 6.018 7.604 6.036
O 34.524 21.207 -1.632
O 28.978 17.206 6.141
O 27.569 19.869 -1.501
O 6.522 9.259 1.124
O -1.280 3.781 7.212
O 14.396 12.360 0.130
O 21.534 15.906 5.333
O 29.391 16.757 3.095
O 12.007 7.680 5.253
O 14.014 10.256 1.945
O 9.215 10.211 -0.251
O 24.839 13.871 -0.289
O 1.691 4.611 2.728
O 17.501 16.258 2.265
O 26.820 17.825 2.575
O 22.863 17.584 -1.780
O 17.210 13.185 -1.264
O -0.942 5.453 2.233
O 19.873 17.208 2.648
O 6.103 9.700 4.168
O 22.069 12.999 1.066
O 3.791 6.221 4.364
O 25.003 15.981 -2.148
O 23.019 19.050 5.074
O 32.004 23.879 5.575
O 11.305 9.454 3.331
O 18.848 8.582 -1.104
O 3.341 3.896 7.120
O 6.269 4.473 2.646
O 14.416 9.819 -1.056
O 24.185 16.870 3.959
O 29.903 21.092 -1.540
O 22.274 18.224 2.618
O 26.722 15.728 4.457
O 15.743 8.730 3.315
O -0.272 0.296 2.032
O 34.186 19.535 3.347
O 33.706 22.095 4.474
O 27.698 21.394 5.360
O 29.802 16.311 0.026
O 2.058 4.216 -0.338
O 1.281 5.056 5.787
O 1.104 2.542 6.753
O 7.993 6.317 7.375
O 3.980 3.202 2.351
O 5.706 10.146 7.214
O 32.427 17.417 -1.365
O 31.186 20.771 5.918
O 32.055 17.870 1.695
O 16.460 11.340 3.665
O 3.442 8.677 5.554
O 16.489 15.475 -0.042
O -1.357 5.903 5.329
O 1.636 6.681 0.833
O 10.900 9.894 6.352
O -0.462 2.892 1.106
O 8.405 11.117 5.870
O 29.822 18.399 -1.859
O 11.175 11.989 4.514
O 15.153 9.370 7.714
O 0.817 7.570 6.945
O 24.427 14.319 2.789
O 27.226 17.384 -0.456
O 3.853 8.230 2.486
O 6.814 6.779 -0.073
O 19.230 14.732 3.636
O 29.002 19.289 4.258
O 8.241 9.006 7.728
O 16.784 13.648 1.915
O -0.901 3.496 4.132
O 4.242 5.699 1.323
O 18.848 12.628 5.450
O 21.939 15.533 2.249
O -0.548 4.996 -0.800
O 11.981 11.104 -1.612
O 16.444 13.841 4.951
O 13.637 10.744 5.025
O 21.263 13.884 7.193
O 7.254 5.451 4.940
O 22.344 15.094 -0.772
O 5.546 3.594 0.220
O 27.538 14.842 -1.634
O 31.608 18.307 4.748
O 8.627 8.645 4.659
O 21.237 17.307 0.327
O 26.430 18.209 5.653
O 24.029 14.777 5.831
O 27.141 15.288 1.412
O 10.970 6.764 2.963
O 16.755 9.513 5.622
O 3.422 6.589 7.439
O 33.792 19.992 6.381
O 34.145 21.492 1.448
O 19.650 11.806 -0.675
O 16.800 11.146 0.629
O 25.990 19.536 0.640
O 8.817 10.669 2.791
O 1.675 1.922 2.493
O 32.139 22.446 -1.172
O 18.234 9.249 3.478
O 1.189 7.118 3.885
O 12.729 8.477 7.723
O 13.594 13.182 6.256
O 10.225 5.938 0.506
O 24.616 19.360 2.943
O 4.266 7.782 -0.561
O 26.975 20.515 2.934
O 30.547 21.965 0.897
O 8.628 5.628 2.637
O 25.251 18.671 -1.794
O 9.059 8.118 1.621
O 34.601 19.084 0.251
O -0.956 1.038 7.132
____________

# GdScS3, relaxed, DFT meta-GGA r2SCAN
# M_tot in μB/f.u.: 7.0
# Formation energy in kJ/mol of atoms: -218
# Calculated volume in Å³/f.u.: 108.0
data_GdScS3
_cell_length_a 7.0636
_cell_length_b 9.5337
_cell_length_c 6.4137
_cell_angle_alpha 90.00
_cell_angle_beta 90.00
_cell_angle_gamma 90.00
_symmetry_space_group_name_H-M 'P n m a'
_symmetry_Int_Tables_number 62
loop_
_symmetry_equiv_pos_as_xyz
'x,y,z'
'-x,-y,-z'
'-x+1/2,-y,z+1/2'
'x+1/2,y,-z+1/2'
'x+1/2,-y+1/2,-z+1/2'
'-x+1/2,y+1/2,z+1/2'
'-x,y+1/2,-z'
'x,-y+1/2,z'
loop_
_atom_site_label
_atom_site_fract_x
_atom_site_fract_y
_atom_site_fract_z
_atom_site_occupancy
Gd1 0.1006 0.2500 0.0397 1
Sc1 0.0000 0.0000 0.5000 1
S1 0.0452 0.7500 0.3600 1
S2 0.1847 0.5683 0.8240 1


Entry 1:
! Mg45Si32H58O138 (PBE-GGA, optimized geometry); values from VASP
! Energy relative to the elements: -2.623 eV/atom
! Space group: No. 12
! Total magnetic moment: 0.00 μB/f.u.
! Raw total energy: -1746.4 eV/cell
&SYSTEM
  ibrav = 0, nat = 273, ntyp = 4
/
ATOMIC_SPECIES
O 16.00 O.upf
H 1.01 H.upf
Mg 24.30 Mg.upf
Si 28.09 Si.upf
CELL_PARAMETERS angstrom
-3.225 6.491 -1.377
-1.228 1.334 9.164
37.697 17.164 -2.207
ATOMIC_POSITIONS angstrom
O 24.617 16.343 0.921
O 11.709 9.082 0.248
O 11.568 11.553 1.471
O 29.264 21.786 3.230
O 18.091 15.617 -2.134
O 21.676 13.435 4.109
O 10.381 7.404 7.360
O 14.004 12.736 3.194
O 20.515 16.511 -2.142
O 15.016 7.992 0.849
O 18.828 15.169 6.636
O 1.240 1.109 0.005
O 31.963 19.932 -0.206
O 19.607 14.244 0.555
O 5.675 5.118 7.082
O 29.453 18.766 1.216
O 6.018 7.604 6.036
O 34.524 21.207 -1.632
O 28.978 17.206 6.141
O 27.569 19.869 -1.501
O 6.522 9.259 1.124
O -1.280 3.781 7.212
O 14.396 12.360 0.130
O 21.534 15.906 5.333
O 29.391 16.757 3.095
O 12.007 7.680 5.253
O 14.014 10.256 1.945
O 9.215 10.211 -0.251
O 24.839 13.871 -0.289
O 1.691 4.611 2.728
O 17.501 16.258 2.265
O 26.820 17.825 2.575
O 22.863 17.584 -1.780
O 17.210 13.185 -1.264
O -0.942 5.453 2.233
O 19.873 17.208 2.648
O 6.103 9.700 4.168
O 22.069 12.999 1.066
O 3.791 6.221 4.364
O 25.003 15.981 -2.148
O 23.019 19.050 5.074
O 32.004 23.879 5.575
O 11.305 9.454 3.331
O 18.848 8.582 -1.104
O 3.341 3.896 7.120
O 6.269 4.473 2.646
O 14.416 9.819 -1.056
O 24.185 16.870 3.959
O 29.903 21.092 -1.540
O 22.274 18.224 2.618
O 26.722 15.728 4.457
O 15.743 8.730 3.315
O -0.272 0.296 2.032
O 34.186 19.535 3.347
O 33.706 22.095 4.474
O 27.698 21.394 5.360
O 29.802 16.311 0.026
O 2.058 4.216 -0.338
O 1.281 5.056 5.787
O 1.104 2.542 6.753
O 7.993 6.317 7.375
O 3.980 3.202 2.351
O 5.706 10.146 7.214
O 32.427 17.417 -1.365
O 31.186 20.771 5.918
O 32.055 17.870 1.695
O 16.460 11.340 3.665
O 3.442 8.677 5.554
O 16.489 15.475 -0.042
O -1.357 5.903 5.329
O 1.636 6.681 0.833
O 10.900 9.894 6.352
O -0.462 2.892 1.106
O 8.405 11.117 5.870
O 29.822 18.399 -1.859
O 11.175 11.989 4.514
O 15.153 9.370 7.714
O 0.817 7.570 6.945
O 24.427 14.319 2.789
O 27.226 17.384 -0.456
O 3.853 8.230 2.486
O 6.814 6.779 -0.073
O 19.230 14.732 3.636
O 29.002 19.289 4.258
O 8.241 9.006 7.728
O 16.784 13.648 1.915
O -0.901 3.496 4.132
O 4.242 5.699 1.323
O 18.848 12.628 5.450
O 21.939 15.533 2.249
O -0.548 4.996 -0.800
O 11.981 11.104 -1.612
O 16.444 13.841 4.951
O 13.637 10.744 5.025
O 21.263 13.884 7.193
O 7.254 5.451 4.940
O 22.344 15.094 -0.772
O 5.546 3.594 0.220
O 27.538 14.842 -1.634
O 31.608 18.307 4.748
O 8.627 8.645 4.659
O 21.237 17.307 0.327
O 26.430 18.209 5.653
O 24.029 14.777 5.831
O 27.141 15.288 1.412
O 10.970 6.764 2.963
O 16.755 9.513 5.622
O 3.422 6.589 7.439
O 33.792 19.992 6.381
O 34.145 21.492 1.448
O 19.650 11.806 -0.675
O 16.800 11.146 0.629
O 25.990 19.536 0.640
O 8.817 10.669 2.791
O 1.675 1.922 2.493
O 32.139 22.446 -1.172
O 18.234 9.249 3.478
O 1.189 7.118 3.885
O 12.729 8.477 7.723
O 13.594 13.182 6.256
O 10.225 5.938 0.506
O 24.616 19.360 2.943
O 4.266 7.782 -0.561
O 26.975 20.515 2.934
O 30.547 21.965 0.897
O 8.628 5.628 2.637
O 25.251 18.671 -1.794
O 9.059 8.118 1.621
O 34.601 19.084 0.251
O -0.956 1.038 7.132